Record 1
First-principles (meta-GGA SCAN) data for a crystal of FeSiOs2 relaxed with PBEsol, as listed in the Alexandria database.

Unit cell a=2.8039 b=4.1366 c=4.4863 alpha=90.00 beta=90.00 gamma=90.00
Each line ends with the local moment (μB).
Element x y z (fractional)
Fe: 0.0000 0.5000 0.5000  2.45
Os: 0.0000 0.0000 0.0000  0.02
Os: 0.5000 0.0000 0.5000  0.51
Si: 0.5000 0.5000 0.0000  -0.01

Summary:
uncorrected formation energy	0.1257	eV per atom
density of states at the Fermi level	2.68	states/eV/f.u.
density	14.8	g/cm3
E_tot	-1.5747	hartree per atom

***

Record 2
First-principles (meta-GGA SCAN) data for a crystal of ZrTlPt2 relaxed with PBEsol, as listed in the Alexandria database.

Unit cell a=4.1497 b=4.1497 c=5.0728 alpha=114.14 beta=114.14 gamma=90.00
Element x y z (fractional)
Pt: 0.0000 0.0000 0.0000
Pt: 0.7500 0.2500 0.5000
Tl: 0.5000 0.5000 0.0000
Zr: 0.2500 0.7500 0.5000

Summary:
calculated formation energy	-0.5853	eV/atom
density of states at the Fermi level	2.31	states/eV/f.u.
density	16.0	g/cm3
E_tot	-2.2581	hartree per atom

***

Record 3
First-principles (meta-GGA SCAN) data for a crystal of YAsOs2 relaxed with PBEsol, as listed in the Alexandria database.

Unit cell a=3.0098 b=4.7258 c=5.4179 alpha=115.86 beta=106.13 gamma=90.00
Element x y z (fractional)
Y: 0.5000 0.0000 0.0000
As: 0.0000 0.5000 0.0000
Os: 0.7199 0.7199 0.4398
Os: 0.2801 0.2801 0.5602

Summary:
calculated formation energy	0.1000	eV/atom
density of states at the Fermi level	2.83	states/eV/f.u.
density	13.7	g/cm3
E_tot	-1.7584	hartree per atom

***

Record 4
First-principles (meta-GGA SCAN) data for a crystal of ZnRe2PbW relaxed with PBEsol, as listed in the Alexandria database.

Unit cell a=4.5274 b=4.9065 c=4.9065 alpha=90.00 beta=90.00 gamma=90.00
Each line ends with the local moment (μB).
Element x y z (fractional)
Pb: 0.0000 0.0000 0.0000  -0.01
Re: 0.0000 0.0000 0.5000  -1.36
Re: 0.0000 0.5000 0.0000  -1.36
Zn: 0.5000 0.0000 0.0000  -0.02
W: 0.5000 0.5000 0.5000  2.24

Summary:
calculated formation energy	3.1560	eV/atom
density of states at the Fermi level	2.95	states/eV/f.u.
density	12.6	g/cm3
E_tot	-2.0976	hartree per atom

***

Record 5
First-principles (meta-GGA SCAN) data for a crystal of KHg2Pd2 relaxed with PBEsol, as listed in the Alexandria database.

Unit cell a=4.2275 b=4.2275 c=6.9184 alpha=107.79 beta=107.79 gamma=90.00
Element x y z (fractional)
K: 0.0000 0.0000 0.0000
Hg: 0.3870 0.3870 0.7740
Hg: 0.6130 0.6130 0.2260
Pd: 0.2500 0.7500 0.5000
Pd: 0.7500 0.2500 0.5000

Summary:
excess energy over the best structure of this formula in the dataset	6	meV per atom
calculated formation energy	-0.1923	eV/atom
density of states at the Fermi level	1.24	states/eV/f.u.
density	9.7	g/cm3
E_tot	-1.5521	hartree per atom

***

Record 6
First-principles (meta-GGA SCAN) data for a crystal of K2HRu relaxed with PBEsol, as listed in the Alexandria database.

Unit cell a=3.4301 b=8.0890 c=8.0890 alpha=87.42 beta=77.76 gamma=77.76
Each line ends with the local moment (μB).
Element x y z (fractional)
Ru: 0.0000 0.0000 0.0000  1.27
Ru: 0.7500 0.5000 0.5000  1.27
K: 0.8750 0.8031 0.6969  0.00
K: 0.3750 0.1969 0.3031  0.00
K: 0.4281 0.6969 0.1969  0.00
K: 0.3219 0.3031 0.8031  0.00
H: 0.5000 0.0000 0.0000  -0.01
H: 0.2500 0.5000 0.5000  -0.01

Summary:
density of states at the Fermi level	1.50	states/eV/f.u.
density	2.8	g/cm3
E_tot	-0.4831	hartree per atom

***

Record 7
First-principles (meta-GGA SCAN) data for a crystal of Rb2CoI relaxed with PBEsol, as listed in the Alexandria database.

Unit cell a=6.0393 b=6.0393 c=6.0393 alpha=60.00 beta=60.00 gamma=60.00
Each line ends with the local moment (μB).
Element x y z (fractional)
I: 0.5000 0.5000 0.5000  0.00
Co: 0.0000 0.0000 0.0000  1.96
Rb: 0.2500 0.2500 0.2500  -0.01
Rb: 0.7500 0.7500 0.7500  -0.01

Summary:
uncorrected formation energy	-0.2339	eV per atom
density	3.8	g/cm3
E_tot	-0.8862	hartree per atom

***

Record 8
What is needed: transcribe the calculation results further above word for word.
Record 1
First-principles (meta-GGA SCAN) data for a crystal of FeSiOs2 relaxed with PBEsol, as listed in the Alexandria database.

Unit cell a=2.8039 b=4.1366 c=4.4863 alpha=90.00 beta=90.00 gamma=90.00
Each line ends with the local moment (μB).
Element x y z (fractional)
Fe: 0.0000 0.5000 0.5000  2.45
Os: 0.0000 0.0000 0.0000  0.02
Os: 0.5000 0.0000 0.5000  0.51
Si: 0.5000 0.5000 0.0000  -0.01

Summary:
uncorrected formation energy	0.1257	eV per atom
density of states at the Fermi level	2.68	states/eV/f.u.
density	14.8	g/cm3
E_tot	-1.5747	hartree per atom

***

Record 2
First-principles (meta-GGA SCAN) data for a crystal of ZrTlPt2 relaxed with PBEsol, as listed in the Alexandria database.

Unit cell a=4.1497 b=4.1497 c=5.0728 alpha=114.14 beta=114.14 gamma=90.00
Element x y z (fractional)
Pt: 0.0000 0.0000 0.0000
Pt: 0.7500 0.2500 0.5000
Tl: 0.5000 0.5000 0.0000
Zr: 0.2500 0.7500 0.5000

Summary:
calculated formation energy	-0.5853	eV/atom
density of states at the Fermi level	2.31	states/eV/f.u.
density	16.0	g/cm3
E_tot	-2.2581	hartree per atom

***

Record 3
First-principles (meta-GGA SCAN) data for a crystal of YAsOs2 relaxed with PBEsol, as listed in the Alexandria database.

Unit cell a=3.0098 b=4.7258 c=5.4179 alpha=115.86 beta=106.13 gamma=90.00
Element x y z (fractional)
Y: 0.5000 0.0000 0.0000
As: 0.0000 0.5000 0.0000
Os: 0.7199 0.7199 0.4398
Os: 0.2801 0.2801 0.5602

Summary:
calculated formation energy	0.1000	eV/atom
density of states at the Fermi level	2.83	states/eV/f.u.
density	13.7	g/cm3
E_tot	-1.7584	hartree per atom

***

Record 4
First-principles (meta-GGA SCAN) data for a crystal of ZnRe2PbW relaxed with PBEsol, as listed in the Alexandria database.

Unit cell a=4.5274 b=4.9065 c=4.9065 alpha=90.00 beta=90.00 gamma=90.00
Each line ends with the local moment (μB).
Element x y z (fractional)
Pb: 0.0000 0.0000 0.0000  -0.01
Re: 0.0000 0.0000 0.5000  -1.36
Re: 0.0000 0.5000 0.0000  -1.36
Zn: 0.5000 0.0000 0.0000  -0.02
W: 0.5000 0.5000 0.5000  2.24

Summary:
calculated formation energy	3.1560	eV/atom
density of states at the Fermi level	2.95	states/eV/f.u.
density	12.6	g/cm3
E_tot	-2.0976	hartree per atom

***

Record 5
First-principles (meta-GGA SCAN) data for a crystal of KHg2Pd2 relaxed with PBEsol, as listed in the Alexandria database.

Unit cell a=4.2275 b=4.2275 c=6.9184 alpha=107.79 beta=107.79 gamma=90.00
Element x y z (fractional)
K: 0.0000 0.0000 0.0000
Hg: 0.3870 0.3870 0.7740
Hg: 0.6130 0.6130 0.2260
Pd: 0.2500 0.7500 0.5000
Pd: 0.7500 0.2500 0.5000

Summary:
excess energy over the best structure of this formula in the dataset	6	meV per atom
calculated formation energy	-0.1923	eV/atom
density of states at the Fermi level	1.24	states/eV/f.u.
density	9.7	g/cm3
E_tot	-1.5521	hartree per atom

***

Record 6
First-principles (meta-GGA SCAN) data for a crystal of K2HRu relaxed with PBEsol, as listed in the Alexandria database.

Unit cell a=3.4301 b=8.0890 c=8.0890 alpha=87.42 beta=77.76 gamma=77.76
Each line ends with the local moment (μB).
Element x y z (fractional)
Ru: 0.0000 0.0000 0.0000  1.27
Ru: 0.7500 0.5000 0.5000  1.27
K: 0.8750 0.8031 0.6969  0.00
K: 0.3750 0.1969 0.3031  0.00
K: 0.4281 0.6969 0.1969  0.00
K: 0.3219 0.3031 0.8031  0.00
H: 0.5000 0.0000 0.0000  -0.01
H: 0.2500 0.5000 0.5000  -0.01

Summary:
density of states at the Fermi level	1.50	states/eV/f.u.
density	2.8	g/cm3
E_tot	-0.4831	hartree per atom

***

Record 7
First-principles (meta-GGA SCAN) data for a crystal of Rb2CoI relaxed with PBEsol, as listed in the Alexandria database.

Unit cell a=6.0393 b=6.0393 c=6.0393 alpha=60.00 beta=60.00 gamma=60.00
Each line ends with the local moment (μB).
Element x y z (fractional)
I: 0.5000 0.5000 0.5000  0.00
Co: 0.0000 0.0000 0.0000  1.96
Rb: 0.2500 0.2500 0.2500  -0.01
Rb: 0.7500 0.7500 0.7500  -0.01

Summary:
uncorrected formation energy	-0.2339	eV per atom
density	3.8	g/cm3
E_tot	-0.8862	hartree per atom

***

Record 8